Physical therapy can help SMA patients increase lung capacity
Deep breathing exercises show benefits for patients with spinal muscular atrophy
What comes next are records of molecules, not part of the piece:
(1)
Density functional theory data (wB97M-V/def2-TZVPD) for C21H27BN3O5ReSeSi2 as an isolated structure in a non-equilibrium geometry.

Atoms and positions in Å:
Re: 0.64 1.10 0.38
O: 1.90 4.18 5.66
C: 1.58 3.73 4.60
C: 2.18 4.10 3.25
O: 2.89 5.05 3.01
C: 1.68 3.07 2.32
C: 0.69 2.30 2.96
O: 0.09 1.38 2.26
C: 0.51 2.69 4.35
O: -0.32 2.30 5.15
O: 1.98 2.85 1.10
C: -1.62 3.88 0.69
Si: -1.16 2.52 -0.54
C: -0.74 3.32 -2.21
C: -2.72 1.45 -0.79
C: -3.92 2.00 -1.24
C: -5.05 1.21 -1.39
C: -5.00 -0.14 -1.10
C: -3.81 -0.70 -0.67
C: -2.66 0.08 -0.51
Si: -0.98 -0.70 -0.01
C: -1.33 -1.77 1.53
C: -0.68 -1.88 -1.49
H: -2.42 4.51 0.30
H: -0.76 4.53 0.91
H: -1.95 3.45 1.63
H: -1.60 3.88 -2.59
H: -0.48 2.56 -2.95
H: 0.10 4.01 -2.13
H: -3.98 3.06 -1.46
H: -5.98 1.66 -1.74
H: -5.88 -0.76 -1.22
H: -3.76 -1.76 -0.44
H: -2.04 -2.57 1.32
H: -1.72 -1.15 2.34
H: -0.40 -2.22 1.88
H: -1.63 -2.18 -1.93
H: -0.14 -2.78 -1.21
H: -0.11 -1.36 -2.27
B: 3.08 0.58 -3.55
C: 2.26 0.81 -2.25
N: 1.56 0.90 -1.33
H: 3.35 1.65 -4.04
H: 4.07 -0.06 -3.28
H: 2.32 -0.06 -4.25
C: 3.10 -2.39 -1.78
N: 2.46 -3.30 -0.85
C: 1.99 -4.56 -1.17
C: 1.42 -5.07 -0.06
N: 1.54 -4.12 0.93
C: 1.06 -4.29 2.29
C: 2.16 -3.02 0.44
Se: 2.55 -1.48 1.37
H: 4.06 -2.80 -2.10
H: 3.26 -1.45 -1.28
H: 2.46 -2.22 -2.64
H: 2.11 -4.97 -2.16
H: 0.94 -6.02 0.09
H: 1.53 -5.17 2.74
H: -0.02 -4.41 2.30
H: 1.33 -3.40 2.85

Calculated values
largest force on an atom: 1.75 eV Å⁻¹
multiplicity: 4
LUMO (alpha / beta): 2.0962 / 1.6329 eV
HOMO energy (alpha / beta): -4.96 / -5.44 eV
E_tot: -4440.56130 a.u.
frontier orbital gap (alpha / beta): 7.1 / 7.1 eV
ΔE to the lowest compared entry with this formula, charge and spin: 1.2837 eV
charge: -1

Atomic charges from the natural (NBO) analysis, expressed in e, are listed below: Re 1.016; O -0.494; C 0.395; C 0.380; O -0.521; C 0.264; C 0.177; O -0.689; C 0.372; O -0.555; O -0.721; C -1.117; Si 1.324; C -1.112; C -0.459; C -0.196; C -0.224; C -0.240; C -0.146; C -0.442; Si 1.181; C -1.111; C -1.100; H 0.227; H 0.241; H 0.247; H 0.227; H 0.241; H 0.241; H 0.198; H 0.202; H 0.200; H 0.187; H 0.214; H 0.251; H 0.224; H 0.230; H 0.209; H 0.236; B -0.603; C 0.494; N -0.637; H 0.030; H 0.010; H 0.017; C -0.421; N -0.361; C -0.067; C -0.071; N -0.370; C -0.420; C 0.262; Se -0.269; H 0.210; H 0.264; H 0.231; H 0.232; H 0.226; H 0.204; H 0.217; H 0.262

=====

(2)
Density functional theory data (wB97M-V/def2-TZVPD) for a 2-piece molecular cluster, C21H27Br2F3NO3Si overall in a non-equilibrium geometry.

Atoms and positions in Å:
C: -0.52 -0.09 -0.91
Si: 0.23 0.36 0.79
C: -1.29 0.73 1.97
C: -2.66 0.28 1.19
C: -3.98 0.39 2.09
C: -5.23 -0.28 1.27
N: -4.94 -0.44 -0.19
C: -5.14 0.70 -1.10
C: -4.76 0.14 -2.52
C: -4.36 -1.37 -2.43
C: -4.51 -1.63 -0.91
C: 1.25 2.01 0.79
C: 1.76 2.47 -0.67
C: 3.32 2.18 -0.97
F: 4.15 2.19 0.18
Br: 3.94 3.74 -2.10
C: 3.60 0.86 -1.86
F: 4.76 1.16 -2.67
F: 2.57 0.53 -2.78
Br: 4.08 -0.76 -0.81
C: 1.36 -0.98 1.57
C: 1.18 -2.45 0.98
C: 0.90 -3.62 2.01
C: 0.75 -5.11 1.61

Michael, a patient who has spinal muscular atrophy (SMA), has experienced reductions and increases in his lung capacity throughout his life due to his genetic disorder. This is a common occurrence in this population due to the disease’s progression on the muscles responsible for respiration. Just recently, this population is being recommended for physical therapy, so we are now beginning to see the advances someone with SMA can make in their breathing functions and lung capacities while attending physical therapy.
Each person who has been diagnosed with SMA presents differently and has a variety of strengths and weaknesses. Improving breathing and increasing lung capacity will be a common goal to ensure proper oxygen exchange as well as ensure the ability to cough up mucus in the event of respiratory issues.
There are many different approaches to reaching this goal, although this will depend on the function of the patient. Michael has been able to improve his lung capacity by working on specific breathing exercises as well as improving mobility and range of motion.
(Between two parts of the article: molecular data)
____________
1.
{"formula": "C5H14N2O", "method": "ωB97M-V with the def2-TZVPD basis set", "homo_ev": -8.6, "total_energy_ev": -10439.0532, "e_above_lowest_kj_mol": 190.5, "smiles": "CCN[C@H](CN)CO", "symbols": ["C", "C", "N", "C", "C", "N", "C", "O", "H", "H", "H", "H", "H", "H", "H", "H", "H", "H", "H", "H", "H", "H"], "positions_angstrom": [[0.413, -0.659, 3.135], [-0.082, 0.107, 1.933], [0.411, -0.512, 0.706], [0.057, 0.165, -0.534], [-0.900, -0.648, -1.407], [-1.946, 0.167, -2.102], [1.268, 0.539, -1.348], [0.890, 1.335, -2.470], [1.477, -0.525, 3.302], [0.192, -1.716, 3.020], [-0.110, -0.322, 4.011], [-1.175, 0.088, 1.913], [0.158, 1.165, 1.936], [1.394, -0.710, 0.812], [-0.501, 1.079, -0.277], [-1.477, -1.326, -0.807], [-0.428, -1.250, -2.190], [-1.536, 1.053, -2.375], [-2.706, 0.372, -1.471], [1.794, -0.367, -1.665], [2.020, 1.132, -0.828], [0.788, 0.832, -3.296]], "forces_ev_per_a": [[-0.1, 0.2, -0.1], [-0.4, -0.4, -0.7], [-0.1, -0.3, 0.1], [-0.1, 0.0, 0.4], [-1.5, 0.6, -0.8], [0.8, -0.2, 0.0], [0.5, 0.2, -0.6], [-0.1, 0.0, -0.6], [0.2, 0.0, 0.0], [0.1, -0.1, -0.1], [-0.1, 0.2, 0.6], [-0.1, -0.2, 0.0], [0.4, 0.4, 0.4], [0.2, 0.1, -0.2], [0.3, 0.0, -0.1], [0.1, -0.5, 0.5], [0.4, 0.1, 0.3], [-0.1, 0.0, -0.1], [0.0, 0.1, 0.1], [-0.1, -0.1, -0.1], [-0.2, 0.1, 0.4], [0.1, 0.0, 0.7]]}

***

2.
{"formula": "C5H14N2O3", "method": "ωB97M-V with the def2-TZVPD basis set", "homo_ev": -8.8, "total_energy_ev": -14532.6267, "e_above_lowest_kj_mol": 300.1, "smiles": "[H]/N=C\\NCCCC=O.O.O", "symbols": ["H", "N", "C", "N", "C", "C", "C", "C", "O", "H", "H", "H", "H", "H", "H", "H", "H", "H", "O", "H", "H", "O", "H", "H"], "positions_angstrom": [[-0.658, -2.199, -2.524], [-0.280, -2.729, -1.729], [0.347, -2.133, -0.795], [0.200, -0.847, -0.271], [0.754, -0.315, 0.991], [-0.136, 0.685, 1.678], [-0.433, 1.961, 0.754], [0.897, 2.601, 0.590], [1.235, 2.882, -0.547], [0.738, -2.938, 0.078], [-0.137, -0.173, -0.974], [1.663, 0.270, 0.723], [1.088, -1.085, 1.588], [-1.096, 0.294, 2.069], [0.362, 1.118, 2.622], [-1.034, 2.752, 1.417], [-0.982, 1.671, -0.127], [1.462, 2.995, 1.475], [-1.565, -3.002, 1.722], [-1.461, -2.174, 1.069], [-0.977, -2.880, 2.472], [-0.480, 1.086, -2.376], [0.043, 1.959, -2.244], [-0.553, 0.892, -3.342]], "forces_ev_per_a": [[0.0, 0.3, 0.8], [1.3, 0.2, -1.1], [-1.1, -2.3, 4.0], [-0.3, 0.0, -0.8], [0.5, 1.9, -2.9], [-1.2, 1.7, 1.4], [-0.4, -0.2, 4.3], [-0.9, 1.4, -2.4], [0.9, 0.0, 0.6], [-0.5, 2.3, -2.3], [0.3, -0.2, 0.6], [-0.1, -0.4, 0.2], [0.4, -1.9, 1.4], [0.4, -0.1, -0.5], [-0.3, -0.9, -1.3], [0.9, -1.8, -1.4], [0.2, 0.4, -0.4], [-0.2, -0.6, -0.3], [-0.1, 2.4, -2.2], [-0.1, -2.8, 2.4], [0.1, 0.3, -0.1], [0.9, 1.7, -0.7], [-1.1, -2.1, -0.5], [0.3, 0.5, 1.2]]}

***

3.
____________
(Back to the article)
Some activities are as simple as performing deep breathing exercises: inhaling through the nose and exhaling through the mouth, slowly. This can be performed three times a day for 10 minutes with a timer set to ensure the patient can focus on breathing and not worry about counting.
Another activity is diaphragmatic breathing, which can be performed while sitting or lying supine, or on your back. This is performed by focusing on expanding through the stomach while inhaling and relaxing as you exhale. Performing breathing exercises with different lip formations, such as pursed lips, can help to recruit different respiratory muscles and increase the ability to perform deep breathing.
Range of motion activities can help to improve lung capacity by increasing the available range the lungs can expand to. For Michael, we performed these exercises by having him sit in his wheelchair or on the edge of the table, and have him lean as far as he can in different directions and then contract his abdomen to return to a neutral position. During these movements, he is instructed to inhale and exhale deeply to encourage the recruitment of respiratory musculature and increase lung capacity.
Depending on the patient’s available range of motion as well as functional capabilities, there are many different activities that can be performed to improve and increase lung capacity. Get creative and use different positions that are comfortable and functional for the patient to encourage compliance outside of the physical therapy clinic.
Patient perspective
When my parents learned that I had a progressive neuromuscular disease, they were extremely interested in getting me involved in different phases of physical therapy. When I was 3 years old, my mother found a day care center that had an indoor swimming pool. After speaking with the owner, she allowed my mother to come in every Monday, Wednesday, and Friday so she could work with me in the pool.
After many of the parents learned that my mother was doing physical therapy with me, the owner of the day care set up swimming lessons. My mother received her Water Safety Instructor certification and she began giving swimming lessons to some of the other children in the day care.
Not long after this, my parents decided to build a pool in our backyard, and for the next 22 years, my mother taught swimming to thousands of children. The water was heated to 92 F, and even though my mother only taught swimming from June until August, we would keep the water heated through the beginning of November so I could continue to swim on a daily basis.
Learning to swim at an early age was probably one of the most beneficial aspects of my overall physical therapy. Deep breathing exercises, and competitions with my mother to see who could hold their breath the longest may have been a game for me, but little did I know how much this would benefit me as I got older. I’ll soon be 58, and I recently set my all-time record of holding my breath for nearly 3.5 minutes.
Before attempting to hold my breath for that amount of time, I usually take five or 10 deep breaths to make sure my lungs are fully oxygenated. These deep breathing and breath holding exercises have allowed me to recover quicker when I have an upper respiratory infection, and I continue to see benefits of doing these exercises on a day-to-day basis.